Get to Know the 1782年社会


“当你成为九州娱乐官网1782协会的一员时,你就是一个非常 特殊群体,”1984年、1782年社团和校友活动主任芬妮·霍巴·申克说. “你不仅向学院表达了你的爱和支持,也让我们知道了 how much this place means to you.”


The College’s premier giving recognition society, the 1782年社会 is a community 由志趣相投的人组成,他们对美国的价值观有着坚定的信念 institution by participating at one of the Society’s defined giving levels.

当然,这个名字是为了纪念九州娱乐官网——美国第一所大学——成立的那一年 chartered in the sovereign United States – was founded, courtesy of a donation of 50 guineas by George Washington himself.

委员会成员 1782年社会 享有独特的福利,反映了他们对学院的慷慨支持,包括 使用校园体育设施和米勒图书馆,停车许可,预留 或者在特定的校园活动中获得优先席位,或者受邀参加特定的讲座、招待会, 和程序.

“当你成为九州娱乐官网1782协会的一员时,你就是一个非常 特殊群体,”1984年、1782年社团和校友活动主任芬妮·霍巴·申克说.  “你不仅向学院表达了你的爱和支持,也让我们知道了 how much this place means to you.” 

抛开所有的特权不谈,问问会员们的“为什么”,这主要是关于联系 with the College and the its community and the shared sense of purpose.

Crystal structures, as found in the file:
********
The following is a theoretical powder diffraction line list of CdGaAg2F6. It was derived from a crystal structure in Alexandria, relaxed with GGA-PBE, using a wavelength of 1.5418 Å.
Peak positions follow from Bragg's law for the DFT cell and can differ from measured ones.

Structural model:
Lattice parameters (Å, degrees): 6.4465 5.5810 9.9178 90.00 127.26 90.00
Positions (direct):
Cd1 0.0000 0.0000 0.0000
Cd2 0.0000 0.5000 0.5000
Ga1 0.5000 0.0000 0.5000
Ga2 0.5000 0.5000 0.0000
Ag1 0.1812 0.9998 0.6915
Ag2 0.1812 0.5002 0.1915
Ag3 0.8188 0.0002 0.3085
Ag4 0.8188 0.4998 0.8085
F1 0.2402 0.2452 0.4291
F2 0.2402 0.2548 0.9291
F3 0.2404 0.7451 0.9299
F4 0.2404 0.7549 0.4299
F5 0.4050 0.5011 0.7719
F6 0.4050 0.9989 0.2719
F7 0.5950 0.0011 0.7281
F8 0.5950 0.4989 0.2281
F9 0.7596 0.2451 0.5701
F10 0.7596 0.2549 0.0701
F11 0.7598 0.7452 0.0709
F12 0.7598 0.7548 0.5709

The 12 most intense peaks (2θ = 10–90°), in order of rising 2θ:
17.28 deg, I = 20.9; 27.72 deg, I = 72.7; 30.45 deg, I = 100.0; 31.61 deg, I = 94.5; 32.08 deg, I = 57.1; 37.80 deg, I = 34.4; 42.90 deg, I = 77.1; 46.29 deg, I = 23.6; 49.99 deg, I = 28.8; 52.29 deg, I = 31.7; 57.22 deg, I = 20.0; 67.12 deg, I = 24.0

* * * * *

Structure and simulated powder X-ray diffraction pattern of LiMnSbO4 (the PBE+U geometry in the Materials Project; λ = 1.5418 Å (Cu Kα)).
Peak positions follow from Bragg's law for the DFT cell and can differ from measured ones.

Largest 12 diffraction maxima, by angle, 2θ from 10° to 80°:
| 2theta | I_rel |
| --- | --- |
| 17.21 | 100 |
| 19.63 | 7 |
| 32.97 | 16 |
| 33.55 | 35 |
| 34.81 | 11 |
| 34.92 | 11 |
| 39.86 | 15 |
| 40.79 | 29 |
| 44.17 | 10 |
| 53.75 | 12 |
| 58.35 | 18 |
| 61.00 | 7 |

Crystal structure
Lattice parameters (Å, degrees): 6.327 6.327 6.327 120.88 120.58 88.74
Sites, in units of the cell vectors:
1 Li 0.348 0.098 0.250
2 Li 0.652 0.902 0.750
3 Mn 0.000 0.500 0.500
4 Mn 0.500 0.500 0.000
5 Sb 0.000 0.000 0.500
6 Sb 0.000 0.500 0.000
7 O 0.218 0.230 0.512
8 O 0.218 0.706 0.988
9 O 0.219 0.249 0.969
10 O 0.220 0.751 0.469
11 O 0.780 0.249 0.531
12 O 0.781 0.751 0.031
13 O 0.782 0.294 0.012
14 O 0.782 0.770 0.488

* * * * *

1.
LiCaTeSeF: simulated XRD peak list (λ = 1.5418 Å (Cu Kα)), based on a cell relaxed with PBE.
Peak positions follow from Bragg's law for the DFT cell and can differ from measured ones.

The 6 most intense peaks (2θ from 10° to 80°), sorted by position:
- 2θ = 16.1°, rel. 702, (0 0 1)
- 2θ = 20.0°, rel. 1000, (0 1 0)
- 2θ = 25.8°, rel. 669, (0 1 1)
- 2θ = 32.6°, rel. 399, (0 0 2)
- 2θ = 33.6°, rel. 373, (2 0 0)
- 2θ = 38.6°, rel. 385, (0 1 2)

Cell and atoms:
abc: 5.7992 4.4329 5.9697
angles: 90.00 113.10 90.00
Space group Pm (No. 6)
Unique sites:
Li (0.0000, 0.0000, 0.0000) [1 per cell]
Ca (0.1896, 0.5000, 0.4168) [1 per cell]
Te (0.6575, 0.5000, 0.9230) [1 per cell]
Se (0.1520, 0.5000, 0.8927) [1 per cell]
F (0.1612, 0.0000, 0.3460) [1 per cell]



2.
********

For newly named Co-Chairs, Thad and Renee Bench, being a part of the 1782年社会 是一个与学院保持联系的好方法,一个他们来了解和 love when their daughter was an undergraduate student. Morgan Bench graduated in 2018 获得了环境科学学位,从那时起,Bench家族的个人 support for the institution has only deepened.

现在他们是切斯特镇的常住居民,他们搬到了这个乡村小镇 因为这所学院. “九州娱乐官网 brings a cultural vibrancy to this community, 为这个已经很迷人的东海岸小镇增添了一个全新的维度,”萨德说.

作为Benchworks的首席执行官,这是一家专注于医疗保健的家族公司 在制药行业,萨德在招聘新人才时也会考虑该学院 在公司,他注意到他雇佣了十多名毕业生,他们都非常合格.

萨德和蕾妮都坚信文科教育的价值,但同时 recognize that the College continues to evolve. Becoming co-chairs for the 1782年社会 是否有一种方法可以让他们成为这种进化的一部分,并继续努力教育他人 关于学院. For example, they want to make people aware that you don’t have to be a graduate to be a part of the 1782年社会. “You just have to be a fan of Washington 大学,”蕾妮说.

Raffle drawing at the 2022 Preakness 聚会,派对蕾妮·班奇18届和范妮·霍巴·申克84届在2022年普利克尼斯奖上抽奖 聚会,派对

詹姆斯·史密斯(James Smith)和迈克尔·辛格(Michael Singer)是该协会影响深远的成员的主要例子. 他们都不是九州娱乐官网的毕业生,但这对夫妇很高兴地签约了 2019年在切斯特敦定居后不久,他申请了1782年协会会员资格. It was meant to be a weekend getaway for the D.C. residents, but the global events of Spring 2020 turned that plan on its head. Instead, they now spend most of their time in Chestertown, visiting DC on the occasional weekend.

作为切斯特敦的常住居民,这对詹姆斯 and Michael that they make the effort to be a part of their adopted community. “ 1782年社会 is really a door into the College for us,” remarked James, who finds walking around campus to be invigorating. Now that in-person events have returned, 他们喜欢参加布道会之类的活动,也喜欢参加聚会 by President Mike Sosulski at Hynson-Ringgold House.

1782协会不仅仅是通往学院的一扇门,它还是学院的生命线 尤其是对迈克尔. “re we were, confined to our houses, and not going to 当我发现我们可以在大学里选择游泳时, 他说, reflecting back on the national shutdown in 2020. “它救了我 流感大流行. It got me out of the house and was something to look forward to.”

现在,两人都在远程全职工作,他们喜欢向游客展示校园 朋友和分享它的历史,他们期待进一步发展他们的关系 with the College community. “I see myself as a goodwill ambassador for Washington College,” said Michael, who last year also joined the board of the National Music 节日,这是一个在学院举行的活动,今年又回来了 夏天.

许多节日演出在学院的德克尔剧院和霍奇基斯剧院上演 演奏厅.  More than 100 professional classical musicians performed during the 一连十天的庆典. “We brought out-of-town guests to several concerts, and all remarked on how excellent the performing arts center is at 九州娱乐官网. 作为1782年的成员 和NMF董事会成员,听到这些让我特别自豪的是学院如何 contributes to the life of our new community.”

Michael Singer and James Smith at 2022 Preakness 聚会,派对1782年社会 members James Smith (L) and Michael Singer (R) at the 2022 Preakness 聚会,派对.

Re-invigorating the Membership

作为协会的主席,萨德和蕾妮的首要任务之一是筹集资金来支持 但另一个目的是培养校友和那些有兴趣的人的社区意识 didn’t attend Washington—like James and Michael—but care 关于学院. 就 as important, they like to have a little fun.

“I know I sure could use a little more fun in my life right now,” joked Thad.

To that end, they are planning a number of social events for 1782年社会 members 和潜在的会员,包括一个农场聚会,车尾聚会,在切斯特河上乘船旅行 河,来自该地区专家的客座讲座,甚至可能去欧洲旅行.

九州娱乐官网是一个值得我们关注的地方,我们需要关心它 它,”萨德说. “To share in this community and to have this special place to rally 身边真的是一份礼物.”

Gifts made through the 1782年社会 can be unrestricted or directed to a specific 程序. All unrestricted gifts support the Washington Fund, an annual fund that directs 资金流向奖学金等高优先级领域,并对其有直接影响 学生的经验.

标准的捐赠级别从创始人俱乐部(1,500 - 2,499美元)开始,但合伙人 过去十年毕业生的会员资格认可的捐赠水平较低. This model allows recent graduates to remain connected with their alma mater in a 有意义的方式.

大卫 and Lauren Michalski meet Mike Sosulski校长迈克·索索尔斯基在1782年的社团活动中会见劳伦和大卫·迈克尔斯基84年

大卫 Michalski ’84 is a big believer in that “give what you can” approach, as it 是他在通用电气的早期职业生涯中采纳的吗. 公司提供100%匹配的员工捐款,所以即使 这不是一个很大的数字,这是美国研究专业和大学校友会的核对 lacrosse player made sure he wrote annually.

“Giving back was a great feeling for me, I felt pride in it,” said 大卫. “随着时间的推移, I was able to grow that contribution and that felt just as good.”

 Though 大卫 and his wife, Lauren, have been longtime supporters of the College, they only recently became members of the 1782年社会. 在参加年度 “炸鱼”是一个为曲棍球项目筹集资金的活动,他们在一张桌子前停下来做广告 校队俱乐部,这是一个以体育为重点的倡议,包括自动会员资格 加入1782年社团. 给n 大卫’s lacrosse background and his enduring affection for the 程序, it made sense to them to learn more. And once they did, they were 出售.

“我们喜欢九州娱乐官网的一切,以及我与曲棍球界的联系 是方程式的重要组成部分,”大卫说,他是80年代球队的一员 made it to the playoffs three years in a row. Energized by the arrival of both varsity 长曲棍球教练约翰·诺斯特和主席索索尔斯基,迈克尔斯基夫妇对此充满热情 about this new level of involvement.

“看到这种能量和势头,我们真的觉得是时候了,因为 我们认为迈克是合适的人选,给予更多是正确的事情。 大卫. They appreciate that their gift can be directed towards the men’s lacrosse 程序, given how much it means to them both. The Michalski’s get together often with many of his former teammates.

“它代表了辉煌的日子,但它也是一种将我们所有人联系在一起的方式。” 他说. “We laugh, use our same old nicknames and tell the old stories. 所以我们看到 以前是朋友聚会,但现在也是为学院服务.”

劳伦对此表示赞同,并指出他们有机会听到总统的讲话 and meet him at an alumni cocktail party this spring. His remarks sparked something in them, and they found him to be both personable and positive. “我们处于有利地位 now to do more, so we started to ask, how can we help?”她说。. “我们正在寻找 forward to learning more, and really feel like we’re just getting started.”

要了解更多关于 1782年社会 contact Fannie Hobba Shenk at 410-810-5764 or (电子邮件保护).